Please filter the block further below: keep the lines with the word "Ac".
=====
Record 1
An optimized crystal structure of La3Pr2HoSe6. Source: Alexandria, functional PBE-GGA.

* formation energy without anion corrections: -22.89 eV per formula unit
* E: -6.059 eV/atom
* D(E_F): 0.513 states/eV/atom
* crystal system: monoclinic
* total magnetic moment: 0.0 μB/cell

abc: 7.378 7.378 7.361
angles: 99.62 99.62 120.12
Sites, in units of the cell vectors:
La 0.000 0.000 0.000
La 0.328 0.672 0.000
La 0.672 0.328 0.000
Pr 0.167 0.833 0.500
Pr 0.833 0.167 0.500
Ho 0.500 0.500 0.500
Se 0.098 0.420 0.260
Se 0.260 0.260 0.745
Se 0.420 0.098 0.260
Se 0.580 0.902 0.740
Se 0.740 0.740 0.255
Se 0.902 0.580 0.740

***

Record 2
An optimized crystal structure of CrAgCl2. Source: Alexandria, functional PBE-GGA.

* formation energy without anion corrections: 0.84 eV per formula unit
* E: -3.832 eV/atom
* energy above the most stable polymorph in this dataset: 58.3 kJ/mol of atoms
* D(E_F): 1.142 states/eV/atom
* crystal system: cubic
* total magnetic moment: 4.9 μB/cell

abc: 4.837 4.837 4.837
angles: 60.00 60.00 60.00
Sites, in units of the cell vectors:
Cr 0.000 0.000 0.000
Ag 0.750 0.750 0.750
Cl 0.250 0.250 0.250
Cl 0.500 0.500 0.500

***

Record 3
An optimized crystal structure of Ac5Pm6Y2. Source: Alexandria, functional PBE-GGA.

* E: -4.688 eV/atom
* D(E_F): 1.497 states/eV/atom
* calculated formation energy: 0.08 eV/atom
* crystal system: orthorhombic
* total magnetic moment: 0.0 μB/cell

abc: 12.006 21.955 3.816
angles: 90.00 90.00 90.00
Sites, in units of the cell vectors:
Ac 0.000 0.000 0.000
Ac 0.069 0.425 0.000
Ac 0.146 0.723 0.000
Ac 0.354 0.223 0.000
Ac 0.431 0.925 0.000
Ac 0.500 0.500 0.000
Ac 0.569 0.075 0.000
Ac 0.646 0.777 0.000
Ac 0.854 0.277 0.000
Ac 0.931 0.575 0.000
Pm 0.083 0.153 0.000
Pm 0.162 0.881 0.500
Pm 0.225 0.558 0.500
Pm 0.275 0.058 0.500
Pm 0.338 0.381 0.500
Pm 0.417 0.653 0.000
Pm 0.583 0.347 0.000
Pm 0.662 0.619 0.500
Pm 0.725 0.942 0.500
Pm 0.775 0.442 0.500
Pm 0.838 0.119 0.500
Pm 0.917 0.847 0.000
Y 0.116 0.284 0.500
Y 0.384 0.784 0.500
Y 0.616 0.216 0.500
Y 0.884 0.716 0.500

***

Record 4
An optimized crystal structure of CrSbTe2Pt. Source: Alexandria, functional PBE-GGA.

* formation energy without anion corrections: 3.12 eV per formula unit
* E: -4.591 eV/atom
* energy above the most stable polymorph in this dataset: 0.0 kJ/mol of atoms
* D(E_F): 0.766 states/eV/atom
* crystal system: tetragonal
* total magnetic moment: 4.0 μB/cell

abc: 5.503 5.503 5.025
angles: 90.00 90.00 90.00
Sites, in units of the cell vectors:
Cr 0.000 0.000 0.000
Sb 0.500 0.500 0.000
Te 0.000 0.500 0.500
Te 0.500 0.000 0.500
Pt 0.500 0.500 0.500

***

Record 5
An optimized crystal structure of CrTcHg. Source: Alexandria, functional PBE-GGA.

* E: -6.174 eV/atom
* energy above the most stable polymorph in this dataset: 22.1 kJ/mol of atoms
* D(E_F): 0.829 states/eV/atom
* calculated formation energy: 0.59 eV/atom
* crystal system: trigonal
* total magnetic moment: 1.1 μB/cell

abc: 4.371 4.371 2.926
angles: 90.00 90.00 120.00
Sites, in units of the cell vectors:
Cr 0.000 0.000 0.000
Tc 0.667 0.333 0.850
Hg 0.333 0.667 0.391

***

Record 6
An optimized crystal structure of AgSnH. Source: Alexandria, functional PBE-GGA.

* E: -3.128 eV/atom
* energy above the most stable polymorph in this dataset: 5.6 kJ/mol of atoms
* D(E_F): 0.241 states/eV/atom
* crystal system: triclinic
* total magnetic moment: 0.0 μB/cell

abc: 3.596 5.306 6.009
angles: 98.69 96.11 104.72
Sites, in units of the cell vectors:
Ag 0.151 0.271 0.430
Ag 0.849 0.729 0.570
Sn 0.298 0.201 0.913
Sn 0.702 0.799 0.087
H 0.337 0.700 0.563
H 0.663 0.300 0.437

***

Record 7
An optimized crystal structure of TmCd2Ag3. Source: Alexandria, functional PBE-GGA.

* E: -2.633 eV/atom
* energy above the most stable polymorph in this dataset: 0.0 kJ/mol of atoms
* D(E_F): 0.449 states/eV/atom
* calculated formation energy: -0.16 eV/atom
* crystal system: monoclinic
* total magnetic moment: 0.0 μB/cell

abc: 4.957 6.790 7.711
angles: 90.00 107.29 90.00
=====
Ac 0.000 0.000 0.000
Ac 0.069 0.425 0.000
Ac 0.146 0.723 0.000
Ac 0.354 0.223 0.000
Ac 0.431 0.925 0.000
Ac 0.500 0.500 0.000
Ac 0.569 0.075 0.000
Ac 0.646 0.777 0.000
Ac 0.854 0.277 0.000
Ac 0.931 0.575 0.000